Marc Arand, CEO at Banque Havilland Maison Moderne

Marc Arand, CEO at Banque Havilland Maison Moderne

Crystal structures that have nothing to do with the entry:
/*
--- 1 ---
Compound: Mg16UAl12
Source: Materials Project
Functional: PBE-GGA
Structure: optimized geometry

The mass density is 2.71 g/cm³.

The space group is I-43m (No. 217) and the conventional cell measures 10.519, 10.519 and 10.519 Å, with angles of 90.00, 90.00 and 90.00 degrees. The asymmetric unit holds Mg at (0.036, 0.358, 0.642), Mg at (0.180, 0.180, 0.180), U at (0.000, 0.000, 0.000) and Al at (0.090, 0.090, 0.726).

=====

--- 2 ---
Compound: Mg16UAl12
Source: Materials Project
Functional: PBE-GGA
Structure: optimized geometry

The mass density is 2.68 g/cm³.

The space group is R3m (No. 160, hexagonal axes) and the conventional cell measures 15.2165, 15.2165 and 8.7968 Å, with angles of 90.00, 90.00 and 120.00 degrees. The asymmetric unit holds Mg at (0.0000, 0.0000, 0.0000), Mg at (0.0290, 0.3590, 0.3633), Mg at (0.1059, 0.5530, 0.5509), Mg at (0.1112, 0.2223, 0.4984), Mg at (0.1987, 0.3973, 0.1200), U at (0.0000, 0.0000, 0.3735), Al at (0.0009, 0.1800, 0.1881), Al at (0.1198, 0.0599, 0.6872) and Al at (0.2130, 0.4261, 0.5968).

=====

Computed energies relative to the best structure, in meV per atom: 1 0; 2 18

=====

--- 1 ---
Compound: Mg16Al12V
Source: Materials Project
Functional: PBE-GGA
Structure: optimized geometry

The mass density is 2.21 g/cm³.

The space group is I-43m (No. 217) and the conventional cell measures 10.472, 10.472 and 10.472 Å, with angles of 90.00, 90.00 and 90.00 degrees. The asymmetric unit holds Mg at (0.041, 0.357, 0.643), Mg at (0.170, 0.170, 0.170), Al at (0.090, 0.090, 0.726) and V at (0.000, 0.000, 0.000).

=====

--- 2 ---
Compound: Mg16Al12V
Source: Materials Project
Functional: PBE-GGA
Structure: optimized geometry

The mass density is 2.21 g/cm³.

The space group is R3m (No. 160, hexagonal axes) and the conventional cell measures 14.6485, 14.6485 and 9.2741 Å, with angles of 90.00, 90.00 and 120.00 degrees. The asymmetric unit holds Mg at (0.0000, 0.0000, 0.0000), Mg at (0.0116, 0.3061, 0.2985), Mg at (0.0687, 0.5344, 0.2095), Mg at (0.1996, 0.0998, 0.5025), Mg at (0.2162, 0.4325, 0.7730), Al at (0.0627, 0.1255, 0.2921), Al at (0.0841, 0.5420, 0.7226), Al at (0.1519, 0.4845, 0.4749) and V at (0.0000, 0.0000, 0.6914).

=====

Computed energies relative to the best structure, in meV per atom: 1 6; 2 0

=====

--- 1 ---
Compound: YMg14Al
Source: Materials Project
Functional: PBE-GGA
Structure: optimized geometry

The mass density is 2.04 g/cm³.

The space group is P-6m2 (No. 187) and the conventional cell measures 6.4319, 6.4319 and 10.3413 Å, with angles of 90.00, 90.00 and 120.00 degrees. The asymmetric unit holds Y at (0.0000, 0.0000, 0.0000), Mg at (0.0090, 0.5045, 0.0000), Mg at (0.1656, 0.3311, 0.2565), Mg at (0.5015, 0.0030, 0.5000), Mg at (0.6667, 0.3333, 0.2438) and Al at (0.0000, 0.0000, 0.5000).

=====

--- 2 ---
Compound: YMg14Al
Source: Materials Project
Functional: PBE-GGA
Structure: optimized geometry

The mass density is 2.05 g/cm³.
*/

After more than a decade of low interest rates, investors have been jolted by significant increases prompted by the highest rates of inflation in the last 40 years. How might HNWIs financially position themselves in these uncertain times? Marc Arand, Group CEO of Banque Havilland, weighs in.

For many HNWIs, the sting of rising interest rates will be felt deeply. Not only will their financial portfolios be impacted, but the effects will spread to nearly every component of their wealth. The global outlook appears grim, but central banks are obviously aware of the spillover effect of interest rate hikes, so they are trying to walk the narrow line between fighting the inflation and damaging the economy. Due to uncertainty as to where markets are headed, individuals should remain defensive and keep cash for opportunities that could arise. Having a trusted financial advisor can help to best protect wealth and identify chance openings.

Impact on real estate

The repercussions on the real estate market are already being felt on both the lending and the rental side. We see fewer offerings because owners are delaying putting assets on the market, largely due to insecurity. While we will likely see a drop in the value of so-called B properties, the value of prime locations will probably remain stable. For investors, a prudent approach would be to hold on to cash for a while longer, at least until we have more visibility.

Increased pressure on businesses

What comes next are crystal structures, not part of the piece
/*
BaTh2S5: relaxed, PBE.

Geometry as CIF:
```
data_BaTh2S5
_chemical_formula_sum 'Ba4 Th8 S20'
_cell_length_a 7.695
_cell_length_b 8.674
_cell_length_c 12.168
_cell_angle_alpha 89.70
_cell_angle_beta 90.00
_cell_angle_gamma 90.00
_space_group_name_H-M_alt 'P 1'
_space_group_IT_number 1
_space_group_name_Hall 'P 1'
loop_
_atom_site_label
_atom_site_fract_x
_atom_site_fract_y
_atom_site_fract_z
Ba1 0.051 0.491 0.331
S1 0.335 0.215 0.312
S2 0.835 0.785 0.188
Ba2 0.551 0.509 0.169
S3 0.452 0.790 0.002
S4 0.191 0.774 0.784
Ba3 0.449 0.491 0.831
S5 0.839 0.959 0.900
S6 0.661 0.959 0.400
S7 0.048 0.790 0.502
S8 0.809 0.226 0.216
S9 0.325 0.463 0.577
S10 0.161 0.041 0.100
S11 0.548 0.210 0.998
S12 0.309 0.774 0.284
Th1 0.431 0.753 0.509
Th2 0.569 0.247 0.491
S13 0.952 0.210 0.498
Th3 0.479 0.998 0.821
Th4 0.979 0.002 0.679
S14 0.665 0.785 0.688
S15 0.339 0.041 0.600
S16 0.691 0.226 0.716
S17 0.175 0.463 0.077
S18 0.165 0.215 0.812
S19 0.825 0.537 0.923
Th5 0.069 0.753 0.009
Th6 0.521 0.002 0.179
Ba4 0.949 0.509 0.669
S20 0.675 0.537 0.423
Th7 0.021 0.998 0.321
Th8 0.931 0.247 0.991
```

Output
- formation energy (meV per atom) = -2383.8
- V (Å³ per cell) = 812.2
- final energy (eV/atom) = -6.748

***

BaTiS3: relaxed, PBE.

Geometry as CIF:
```
data_BaTiS3
_chemical_formula_sum 'Ba2 Ti2 S6'
_cell_length_a 6.813
_cell_length_b 6.813
_cell_length_c 5.837
_cell_angle_alpha 90.00
_cell_angle_beta 90.00
_cell_angle_gamma 120.00
_space_group_name_H-M_alt 'P 1'
_space_group_IT_number 1
_space_group_name_Hall 'P 1'
loop_
_atom_site_label
_atom_site_fract_x
_atom_site_fract_y
_atom_site_fract_z
S1 0.835 0.669 0.750
S2 0.669 0.835 0.250
Ti1 0.000 0.000 0.500
S3 0.165 0.331 0.250
Ti2 0.000 0.000 0.000
S4 0.835 0.165 0.750
Ba1 0.333 0.667 0.750
S5 0.165 0.835 0.250
Ba2 0.667 0.333 0.250
S6 0.331 0.165 0.750
```

Output
- formation energy (meV per atom) = -1946.0
- V (Å³ per cell) = 234.6
- final energy (eV/atom) = -6.089

***

Ba2TiVS6: relaxed, PBE.

Geometry as CIF:
```
data_Ba2TiVS6
_chemical_formula_sum 'Ba2 Ti1 V1 S6'
_cell_length_a 6.812
_cell_length_b 6.812
_cell_length_c 5.664
_cell_angle_alpha 90.00
_cell_angle_beta 90.00
_cell_angle_gamma 120.00
_space_group_name_H-M_alt 'P 1'
_space_group_IT_number 1
_space_group_name_Hall 'P 1'
loop_
_atom_site_label
_atom_site_fract_x
_atom_site_fract_y
_atom_site_fract_z
S1 0.835 0.165 0.757
S2 0.165 0.835 0.243
Ti1 0.000 0.000 0.500
S3 0.835 0.670 0.757
Ba1 0.667 0.333 0.248
S4 0.165 0.330 0.243
S5 0.670 0.835 0.243
Ba2 0.333 0.667 0.752
S6 0.330 0.165 0.757
V1 0.000 0.000 0.000
```

Output
- formation energy (meV per atom) = -1802.0
- V (Å³ per cell) = 227.6
- final energy (eV/atom) = -6.064

***

BaTm2S4: relaxed, PBE.

Geometry as CIF:
```
data_BaTm2S4
_chemical_formula_sum 'Ba4 Tm8 S16'
_cell_length_a 4.007
_cell_length_b 12.260
_cell_length_c 14.404
_cell_angle_alpha 90.00
_cell_angle_beta 90.00
_cell_angle_gamma 90.00
_space_group_name_H-M_alt 'P 1'
_space_group_IT_number 1
_space_group_name_Hall 'P 1'
loop_
*/

Entrepreneurs and investors are also facing dwindling returns as businesses grapple with higher costs, lower revenues, more difficulty securing bank loans, and tightened competition. A trusted and competent wealth manager can take an individual's business involvement into account to assess risk in his or her personal financial portfolio.

One major contributing factor to rising business expenses is the price of energy.
Marc Arand

Marc ArandceoBanque Havilland

One major contributing factor to rising business expenses is the price of energy. Certainly this is a serious disruptor, but it also might present opportunities, as regulators will now want to see that banks are increasingly financing properties with low energy consumption. That is already the case in a few European countries and accelerated by initiatives at the European level. This continued shift might offer some new opportunities for investors.

The need for a holistic approach

Individual investors are likely exposed to risk coming from many angles, in bankable and private non-bankable assets which are often out of an advisor's view. Now more than ever, we need to take a holistic approach, because it is only when we can evaluate an individual’s entire wealth matrix are we able to advise accordingly. There is no one-size-fits-all approach.

‘In general, wealth managers tend only to focus on their clients' investment portfolios, the visible part of wealth that is the most transparent and easy-to-model component, but in many cases, it is not the most preponderant component nor the one carrying the highest risk.’ -Marc Arand, CEO of the Banque Havilland Group

Although a wealth manager is not in a position to advise in every single aspect of a client's total wealth, both from a legal and competence perspective, a holistic approach should be taken when providing wealth management service. In some cases, the wealth manager might advise a client to seek additional external advice for other areas of their assets or liabilities where hidden risks could surface.

_Crystal structures from another source follow_
~~~
The following is a DFT calculation (GGA-PBE) of crystalline Co5CuN4 at its relaxed geometry.

Computed properties:
SG	Pmmn, No. 59
density	6.9	Mg/m³
formation energy	0.124	eV per atom

a b c (Å): 8.503 5.613 4.167
angles (deg): 90.00 90.00 90.00
Positions (direct):
N (0.547, 0.750, 0.514)
Co (0.085, 0.978, 0.732)
N (0.453, 0.250, 0.486)
Co (0.250, 0.250, 0.291)
Co (0.585, 0.478, 0.268)
Co (0.915, 0.022, 0.268)
N (0.750, 0.516, 0.009)
Cu (0.750, 0.250, 0.719)
N (0.250, 0.484, 0.991)
N (0.047, 0.250, 0.486)
N (0.750, 0.984, 0.009)
Cu (0.250, 0.750, 0.281)
N (0.953, 0.750, 0.514)
Co (0.585, 0.022, 0.268)
N (0.250, 0.016, 0.991)
Co (0.415, 0.978, 0.732)
Co (0.750, 0.750, 0.709)
Co (0.915, 0.478, 0.268)
Co (0.415, 0.522, 0.732)
Co (0.085, 0.522, 0.732)

* * * * *

Material: AsOsSe
Method: DFT, PBE-GGA
State: optimized geometry

Cell: 6.140 6.173 6.255 Å, 112.61 90.00 90.00°
Sites, in units of the cell vectors:
Se 0.629 0.841 0.688
Se 0.371 0.159 0.312
Os 0.503 0.226 0.706
Os 0.497 0.774 0.294
Os 0.997 0.226 0.206
As 0.367 0.643 0.883
As 0.633 0.357 0.117
Se 0.129 0.159 0.812
As 0.867 0.357 0.617
As 0.133 0.643 0.383
Se 0.871 0.841 0.188
Os 0.003 0.774 0.794

Computed properties:
E (MP2020) in hartree per atom: -0.25154
VASP energy in eV/cell: -80.25
Formation energy in meV per atom: -384.0
Calculated volume in A^3/atom: 18.24

* * * * *

Entry from the Materials Project: crystalline KH8WN2O3F3 at its relaxed geometry (PBE+U).

```
18
Lattice="0.000 4.615 4.622 4.485 0.000 4.622 4.485 4.615 0.000" Properties=species:S:1:pos:R:3 pbc="T T T"
K 0.000 0.000 0.000
H 2.888 1.758 1.679
H 1.656 1.697 2.870
H 2.829 2.918 2.870
H 1.597 2.857 1.679
H 7.373 7.472 6.301
H 7.313 6.312 7.492
H 6.081 6.374 6.301
H 6.141 7.533 7.492
W 4.485 4.615 4.508
N 2.242 2.308 2.276
N 6.727 6.923 6.898
O 4.485 4.615 2.691
O 4.485 2.779 4.841
O 4.485 6.451 4.841
F 6.478 4.615 4.618
F 4.485 4.615 6.653
F 2.491 4.615 4.618
```

E = -5.33 eV/atom
Total magnetic moment = 0.000 μB per atom
E above lowest polymorph = 27 meV per atom
SG = Fmm2



Entry from the Materials Project: crystalline KH8WN2F6 at its relaxed geometry (PBE+U).

```
18
Lattice="0.000 4.666 4.666 4.666 0.000 4.666 4.666 4.666 0.000" Properties=species:S:1:pos:R:3 pbc="T T T"
K 0.000 0.000 0.000
H 2.929 1.737 1.737
H 1.737 2.929 1.737
H 1.737 1.737 2.929
H 2.929 2.929 2.929
H 6.403 6.403 6.403
H 7.595 7.595 6.403
H 7.595 6.403 7.595
H 6.403 7.595 7.595
W 4.666 4.666 4.666
N 2.333 2.333 2.333
N 6.999 6.999 6.999
F 4.666 4.666 2.563
F 4.666 2.563 4.666
F 6.770 4.666 4.666
F 2.563 4.666 4.666
F 4.666 6.770 4.666
F 4.666 4.666 6.770
```

E = -5.00 eV/atom
Total magnetic moment = 0.167 μB per atom
E above lowest polymorph = 54 meV per atom
SG = Fm-3m



Entry from the Materials Project: crystalline KH8WN2F6 at its relaxed geometry (PBE+U).

```
36
Lattice="6.487 0.000 0.000 0.000 6.447 0.000 -6.391 0.000 9.516" Properties=species:S:1:pos:R:3 pbc="T T T"
K 0.000 0.000 0.000
K -3.196 3.224 4.758
H -4.168 0.188 6.956
~~~

Striving to achieve the greatest level of service and assessing the total risk carried by a client requires building a close relationship, one that allows the wealth manager to really understand the situation of the client, both from a financial and nonfinancial point of view.

Even though there is no single strategy to protect wealth in these times, it is possible to provide some general guidelines
Marc Arand

Marc ArandceoBanque Havilland

‘Posing the right questions at the right time can unveil substantial changes in an investor wealth matrix which should be considered when assessing the suitability of his asset allocation.’ -Marc Arand, Group CEO of Banque Havilland.

Stay defensive, wait for opportunities, and consider short-term yields

Even though there is no single strategy to protect wealth in these times, it is possible to provide some general guidelines, says Mr Arand. He advises his clients to stay defensive, to keep cash, either in liquid form or in low-risk investments. He does express notes of optimism, saying that for entrepreneurs and investors looking at bankable assets, there are opportunities that will arise. There are also openings for short-term investments, because following interest rate increases, it is possible now to get a yield whereas before one either had to play the duration and go for a long-term investment, or buy into a higher risk investment.